Edinburgh The Threttie one day of January Jaj vjc nyntie five years
Act Alexander Southerland
Anent a Petition given in to the Lords of their majesties privy Councill be Alexander Southerland of Scairnslate Shewing That quher the petitioner being advertised by the saids Lords proclamatione to furnish a proportion of the late Levies In obedience to which act and proclamatione the petitioner brought allong with him thrie sufficient men whom he presented to the officer appoynted to receive the Levies in Caithnes and desired the officers to make Choise of any of the thrie men presented as being the proportion to which the petitioner was Lyable, But the officer either slighted or at least neglected to receve the man after the petitioner hade presented him for that effect, and the petitioner fearing that he might be given up as a deficient and therby made Lyable to the penalty contained in the proclamatione The petitioner adressed himself to Livd Murray and his serjant and presented to them a suficient man able to Cary armes in their Majesties Service and protested that he might be no furder Lyable as appears by ane protestatione and ane instrument therwith produced, notwithstanding quherof that the petitioner hade performed all that by your Lordships act and proclamationes he was oblidged to and that the men presented2 by the petitioner was severall hours in the Custody and keeping of the officer yet the petitioner Contrair to all Justice Is given up as deficient and fearing that some advantage may be taken of the petitioner Is necessitate trouble ther Lordships with this representatione Wherby Its evident and Clearly proven by the two protestationes and instruments produced that the petitioner was nowayes deficient and it was likewayes nottour to the Earle of Broadalbine how that the prison in which the Levies were secured was brock open and the Earles baillie beat in defending the prisone and the man suffered to escape And Therfore Humbly Craveing the saids Lords Discharge all officers messengers and others from troubling or molesting the petitioner upon the accompt of deficiencie and from puting any letters of horning poynding or other dilligence in executione against the petitioner on the forsaid accompt Especially seing the petitioner gave obedience to the saids Lords acts and performed all that any man Could doe as appears by the two protestationes and instruments therwith produced as the said petitione bears The Lords of their Majesties privy Councill having Considered this petitione with the Report of the Earle of Broadalbine to whom it was Remitted, They heirby Remitt to the Commissioners of Supply within the Shyre wher the petitioner Lives to doe in the matter as they shall find Just according to Law.
1. NRS, PC2/25, 167v-168v.
/*
No. 1
This record from the Materials Project database describes a geometry-optimized Gd2C structure. The functional is PBE-GGA.

Properties
V = 70.62 Å³ per cell
calculated formation energy = -0.256 eV/atom

Lattice parameters (Å, degrees): 6.4849 6.4849 6.4849 32.66 32.66 32.66
With the nearest neighbours (Å) after each atom.
Positions (direct):
Gd1 0.7599 0.7599 0.7599  3 C 2.50
Gd2 0.2401 0.2401 0.2401  3 C 2.50
C1 0.5000 0.5000 0.5000  6 Gd 2.50



No. 2
This record from the Materials Project database describes a geometry-optimized Na2CaGaPS2O12 structure. The functional is PBE-GGA.

Properties
total magnetic moment = 0.00 μB/f.u.
V = 1598.57 Å³ per cell
calculated formation energy = -2.361 eV/atom

Lattice parameters (Å, degrees): 9.0456 9.0237 22.6375 91.03 90.00 120.08
With the nearest neighbours (Å) after each atom.
Positions (direct):
Ga1 0.3538 0.6950 0.3175  3 O 1.93-2.08
Ga2 0.9857 0.9811 0.6529  5 O 1.96-2.20
Ga3 0.6690 0.3477 0.9842  4 O 1.92-2.10
Ga4 0.3413 0.6950 0.8175  3 O 1.93-2.08
Ga5 0.9954 0.9811 0.1529  5 O 1.96-2.20
Ga6 0.6788 0.3477 0.4842  4 O 1.92-2.10
P1 0.9524 0.6366 0.0866  4 O 1.52-1.59
P2 0.6267 0.9823 0.4229  4 O 1.51-1.60
P3 0.6931 0.9844 0.7534  4 O 1.51-1.60
P4 0.2913 0.9844 0.2534  4 O 1.51-1.60
P5 0.3556 0.9823 0.9229  4 O 1.51-1.60
P6 0.6841 0.6366 0.5866  4 O 1.52-1.59
O1 0.4664 0.1233 0.6321  1 S 1.46
O2 0.6385 0.4952 0.9197  1 S 1.50
O3 0.5216 0.6291 0.8588  1 S 1.51
O4 0.7946 0.8073 0.9118  1 S 1.49
O5 0.1352 0.6689 0.0799  1 P 1.54
O6 0.8351 0.5378 0.0314  1 P 1.58
O7 0.3643 0.4843 0.3610  1 S 1.50
O8 0.8804 0.5465 0.1443  1 P 1.52
O9 0.9943 0.2083 0.3016  1 S 1.45
O10 0.3381 0.4660 0.0777  1 S 1.46
O11 0.5011 0.8888 0.3677  1 P 1.60
O12 0.8042 0.0080 0.4152  1 P 1.51
O13 0.1721 0.9530 0.1971  1 P 1.60
O14 0.8508 0.8202 0.5887  1 P 1.59
O15 0.6569 0.1233 0.1321  1 S 1.46
O16 0.0301 0.2085 0.1940  1 S 1.51
O17 0.5353 0.8665 0.0771  1 S 1.49
O18 0.8795 0.3402 0.6370  1 S 1.46
O19 0.9944 0.7904 0.8028  1 S 1.45
O20 0.0128 0.8073 0.4118  1 S 1.49
O21 0.5150 0.3711 0.4170  1 S 1.52
O22 0.2038 0.0080 0.9152  1 P 1.51
O23 0.9929 0.2023 0.9094  1 S 1.48
O24 0.7053 0.1394 0.0259  1 S 1.50
O25 0.5487 0.8849 0.4788  1 P 1.51
O26 0.4342 0.1394 0.5259  1 S 1.50
O27 0.1784 0.2085 0.6940  1 S 1.51
O28 0.7027 0.5378 0.5314  1 P 1.58
O29 0.2140 0.2083 0.8016  1 S 1.45
O30 0.4608 0.3402 0.1370  1 S 1.46
O31 0.4495 0.2927 0.0297  1 S 1.52
O32 0.4704 0.1351 0.2479  1 P 1.51
O33 0.5337 0.6689 0.5799  1 P 1.54
O34 0.1075 0.6291 0.3588  1 S 1.51
O35 0.6647 0.1351 0.7479  1 P 1.51
O36 0.8741 0.3368 0.2432  1 S 1.48
O37 0.2093 0.2023 0.4094  1 S 1.48
O38 0.7960 0.7904 0.3028  1 S 1.45
O39 0.5390 0.6755 0.9662  1 S 1.46
O40 0.8645 0.5406 0.7439  1 S 1.48
O41 0.7809 0.9530 0.6971  1 P 1.60
O42 0.1857 0.0318 0.5880  1 S 1.49
O43 0.7750 0.8169 0.1964  1 S 1.49
O44 0.1750 0.6964 0.7545  1 S 1.50
O45 0.9694 0.8202 0.0887  1 P 1.59
O46 0.6761 0.5406 0.2439  1 S 1.48
O47 0.3877 0.8888 0.8677  1 P 1.60
*/
2. The word ‘was’ scored out here.
Records of crystals, as found in the file:
____________
Record 1
! Fe3P4PbO14 (GGA+U, optimized geometry); values from VASP
! * energy relative to the elements: -2.402 eV per atom
! * calculated density: 4.4 g cm⁻³
! * MP2020-corrected energy: -345.8 eV per cell
! * VASP energy: -313.0 eV per cell
&SYSTEM
  ibrav = 0, nat = 44, ntyp = 4
/
ATOMIC_SPECIES
O 16.00 O.upf
P 30.97 P.upf
Fe 55.84 Fe.upf
Pb 207.20 Pb.upf
CELL_PARAMETERS angstrom
-2.3148 -6.1766 -4.3221
6.3423 0.5983 -4.2517
7.3301 -5.2705 3.6062
ATOMIC_POSITIONS crystal
O 0.4822 0.9041 0.3084
O 0.4218 0.5289 0.6149
O 0.3852 0.2274 0.1379
O 0.7866 0.4980 0.6374
O 0.1259 0.6559 0.6135
O 0.8712 0.1836 0.8209
O 0.3741 0.6559 0.1135
O 0.6288 0.1836 0.3209
O 0.5178 0.0959 0.6916
O 0.6766 0.8774 0.5849
O 0.3234 0.1226 0.4151
O 0.1288 0.8164 0.1791
O 0.2134 0.5020 0.3626
O 0.9218 0.4711 0.8851
O 0.2866 0.5020 0.8626
O 0.7134 0.4980 0.1374
O 0.0782 0.5289 0.1149
O 0.5782 0.4711 0.3851
O 0.9822 0.0959 0.1916
O 0.1148 0.2274 0.6379
O 0.8852 0.7726 0.3621
O 0.6259 0.3441 0.8865
O 0.8741 0.3441 0.3865
O 0.0178 0.9041 0.8084
O 0.1766 0.1226 0.9151
O 0.3712 0.8164 0.6791
O 0.6148 0.7726 0.8621
O 0.8234 0.8774 0.0849
P 0.7970 0.3871 0.8057
P 0.9440 0.8953 0.2015
P 0.5560 0.8953 0.7015
P 0.4440 0.1047 0.2985
P 0.2970 0.6129 0.6943
P 0.7030 0.3871 0.3057
P 0.2030 0.6129 0.1943
P 0.0560 0.1047 0.7985
Fe 0.1225 0.3123 0.0293
Fe 0.8775 0.6877 0.9707
Fe 0.5000 0.5000 0.0000
Fe 0.0000 0.5000 0.5000
Fe 0.6225 0.6877 0.4707
Fe 0.3775 0.3123 0.5293
Pb 0.0000 0.0000 0.5000
Pb 0.5000 0.0000 0.0000

Record 2
! Mn3Se4O12 (GGA+U, optimized geometry); values from VASP
! * energy relative to the elements: -1.519 eV per atom
! * calculated density: 3.8 g cm⁻³
! * MP2020-corrected energy: -259.4 eV per cell
! * VASP energy: -232.9 eV per cell
&SYSTEM
  ibrav = 0, nat = 38, ntyp = 3
/
ATOMIC_SPECIES
O 16.00 O.upf
Se 78.96 Se.upf
Mn 54.94 Mn.upf
CELL_PARAMETERS angstrom
3.3889 -5.8809 3.5656
-6.9846 -2.1574 -4.3364
7.9003 -0.0414 -6.8816
ATOMIC_POSITIONS crystal
O 0.7680 0.0463 0.0376
O 0.9356 0.4110 0.1501
O 0.7839 0.9816 0.6442
O 0.0644 0.5890 0.8499
O 0.8529 0.7522 0.3405
O 0.4516 0.4860 0.8447
O 0.2093 0.6336 0.5932
O 0.1884 0.6643 0.3500
O 0.7455 0.2648 0.8985
O 0.1062 0.8744 0.5789
O 0.1188 0.1632 0.1773
O 0.8812 0.8368 0.8227
O 0.8116 0.3357 0.6500
O 0.1146 0.2384 0.8973
O 0.6857 0.6283 0.6070
O 0.2161 0.0184 0.3558
O 0.3143 0.3717 0.3930
O 0.2320 0.9537 0.9624
O 0.5484 0.5140 0.1553
O 0.8854 0.7616 0.1027
O 0.7907 0.3664 0.4068
O 0.8938 0.1256 0.4211
O 0.1471 0.2478 0.6595
O 0.2545 0.7352 0.1015
Se 0.7192 0.2056 0.4849
Se 0.6857 0.7302 0.2053
Se 0.3143 0.2698 0.7947
Se 0.2702 0.7582 0.9422
Se 0.3194 0.1908 0.2783
Se 0.6806 0.8092 0.7217
Se 0.2808 0.7944 0.5151
Se 0.7298 0.2418 0.0578
Mn 0.0526 0.7252 0.2197
Mn 0.0560 0.3749 0.3198
Mn 0.0000 0.0000 0.0000
Mn 0.9440 0.6251 0.6802
Mn 0.9474 0.2748 0.7803
Mn 0.0000 0.0000 0.5000

Record 3
! Mn5Cr4O12 (GGA+U, optimized geometry); values from VASP
! * energy relative to the elements: -2.226 eV per atom
____________
Back to the text:
1. NRS, PC2/25, 167v-168v.
2. The word ‘was’ scored out here.